Thursday, May 28, 2015

29 Weeks

How Far Along: 29 Weeks!

Displaying IMG_6061.JPG
[please excuse the ugly floor and awkward angle!]

Size of Baby: the size of an acorn squash (LOL).

Gender: Sweet baby BOY!

Fun fact: Heartbeat was strong this last appointment, 140-144 bpm. I have now graduated to appointments every 2 weeks instead of four. 

Movement: this boy loves to move. Just when I think I can't be any more miserable, he kicks and I realize it is all worth it and I wouldn't trade that feeling for anything!

Sleep:  I can't get enough sleep. I wake up every few hours during the night. I have a feeling I will be moving to the couch soon. I guess it's all a part of the third trimester, but exhaustion has officially set in.

Workouts: Elliptical at the gym since it's been raining like crazy this week 

Maternity Clothes: Same. Whatever I am most comfy in!

Symptoms: Back pain like none other, heartburn, just overall discomfort. But, I have 11 weeks to go, so I am staying positive!

Cravings/Aversions: nothing really

Missing Most: being comfortable, I know that sounds terrible.

Nursery: Last week I said I was ordering the matress..... so that is my goal this week!

Attached: calculated molecules.
~~~
DFT (the ωB97M-V functional and the def2-TZVPD basis) results for a cluster of 13 separate species, C47H128N8O13 in total.

```
! RIJCOSX wB97M-V def2-TZVPD def2/J DEFGRID3
* xyz 0 1
C 1.217 1.328 5.597
C -0.175 1.643 4.997
C -1.221 0.721 5.539
O -0.520 3.025 5.187
H 2.003 1.949 5.158
H 1.598 0.386 5.250
H 1.252 1.362 6.713
H -0.036 1.602 3.915
H -2.253 1.061 5.189
H -1.310 0.751 6.649
H -1.022 -0.293 5.162
H -0.836 3.099 6.076
C -2.936 0.547 -2.580
C -3.823 0.181 -3.722
C -2.959 -0.267 -4.823
O -4.738 -0.815 -3.310
H -2.409 -0.344 -2.200
H -3.476 0.981 -1.773
H -2.183 1.281 -2.902
H -4.336 1.099 -4.075
H -2.348 -1.119 -4.528
H -2.281 0.499 -5.163
H -3.465 -0.709 -5.674
H -5.582 -0.660 -3.727
C 0.521 6.250 3.937
C 1.180 5.834 2.643
C 2.038 4.586 2.859
O 0.285 5.589 1.566
H -0.133 7.123 3.690
H 1.278 6.417 4.718
H -0.079 5.415 4.228
H 1.779 6.639 2.229
H 3.015 4.736 3.345
H 2.146 4.174 1.873
H 1.481 3.802 3.366
H -0.600 5.258 1.839
C 0.585 0.888 -1.114
C -0.282 1.279 0.060
C -0.441 0.199 1.151
O 0.206 2.388 0.724
H 0.706 1.653 -1.862
H 0.249 -0.070 -1.437
H 1.562 0.572 -0.687
H -1.289 1.462 -0.304
H -0.894 -0.650 0.620
H -1.149 0.560 1.925
H 0.550 -0.149 1.586
H 0.123 3.162 0.128
C 4.178 2.989 -2.413
C 4.069 4.168 -1.434
C 2.649 4.654 -1.301
O 4.580 3.868 -0.061
H 3.582 2.209 -1.992
H 5.251 2.783 -2.535
H 3.773 3.265 -3.358
H 4.588 5.049 -1.864
H 2.018 3.892 -0.912
H 2.188 5.015 -2.288
H 2.752 5.565 -0.698
H 3.977 3.148 0.207
C -3.657 2.265 1.648
C -3.258 3.706 1.897
C -4.032 4.420 2.986
O -5.416 4.267 2.769
C -6.278 5.083 3.498
N -1.854 3.779 2.356
H -4.640 2.167 1.236
H -3.638 1.731 2.551
H -2.993 1.836 0.888
H -3.346 4.269 0.967
H -3.640 5.438 3.029
H -3.708 3.994 3.982
H -6.281 6.069 3.027
H -6.122 5.166 4.624
H -7.276 4.624 3.377
H -1.269 3.128 1.838
H -1.815 3.436 3.310
C -2.550 -3.568 -1.421
C -2.006 -4.627 -2.336
C -1.521 -4.095 -3.641
O -0.717 -5.012 -4.276
C -0.244 -4.578 -5.536
N -1.133 -5.461 -1.605
H -3.033 -2.756 -1.947
H -1.701 -2.965 -0.997
H -3.107 -4.028 -0.600
H -2.875 -5.249 -2.582
H -0.898 -3.161 -3.529
H -2.450 -3.920 -4.235
H -0.996 -4.884 -6.302
H 0.639 -5.113 -5.733
H -0.049 -3.497 -5.545
H -0.716 -6.200 -2.174
H -0.306 -4.931 -1.252
C 0.950 -0.660 -8.625
C 1.967 -1.037 -7.596
C 1.427 -0.829 -6.153
O 0.920 0.458 -5.994
C 0.736 0.898 -4.687
N 2.476 -2.419 -7.795
H 0.180 -1.472 -8.579
H 1.362 -0.559 -9.612
H 0.418 0.263 -8.471
H 2.855 -0.426 -7.608
H 2.291 -0.964 -5.449
H 0.614 -1.512 -5.868
H 0.601 1.946 -4.708
H 1.647 0.654 -4.117
H 0.017 0.329 -4.062
H 1.931 -2.884 -8.485
H 3.467 -2.355 -7.994
C -2.900 5.737 -2.191
C -1.968 4.550 -2.046
C -1.503 4.006 -3.354
O -2.558 3.404 -4.201
C -2.216 3.742 -5.565
N -0.855 4.839 -1.205
H -2.300 6.612 -2.495
H -3.349 5.933 -1.217
H -3.634 5.501 -2.994
H -2.452 3.688 -1.597
H -0.815 3.171 -3.127
H -0.991 4.763 -3.921
H -2.823 3.151 -6.218
H -1.163 3.528 -5.702
H -2.486 4.800 -5.807
H -0.186 5.416 -1.705
H -1.098 5.164 -0.280
C 5.050 0.045 -0.680
C 5.913 1.022 0.126
C 5.437 1.007 1.561
~~~
End of the calculated molecules.

Hubby: the real MVP.

Best part of the Week: I took 2 naps on Monday. They were short and sweet, but my body obviously needs it. I tend to not slow down.

Can't Wait For: the weekend! Drs appt Monday to check on baby boy!! 

Thursday, May 21, 2015

Thursday Four

{Four nicknames}
Lums (shortened maiden name)
Sara Rie
Smalls (Pat's doing)
And I really can't think of another right now

{Four movies I’ve watched more than once}
I have seen many movies more than once so let's say more than 5 times!
Something Borrowed
A Walk To Remember
Remember the Titans
Mean Girls

{Four things in my purse}
Water bottle
business cards
tide to go pen

{Four favorite places to shop}
Pre-pregnancy: Loft
Local shops 

{Four places I’ve lived}
Memphis, TN {born}
Donelson, TN {2-6}
Gallatin, TN {6-current}
Bowling Green, KY {WKU college years}
{Four ultimate favorite foods}
Turkey Sandwich
Anything Chick fil A 
Mac n Cheese
{Four pet peeves}
Saying one thing and doing another
Heartburn {thanks baby}
When people "live tweet"... put your phone down and enjoy the moment people!
A messy house
{Four favorite drinks}
White Wine {sweet, not dry}
Sweet Tea {yes, it counts}

{Four places I’ve traveled}
Just 4?!
Europe {London/Scotland}
Carribbean {St Thomas/St Maarten/Grand Cayman/Jamaica/Bahamas/Antigua}
Florida {West Palm/Tampa//Miami/Orlando/PCB-ew/Destin}
West Coast {San Diego/Seattle}

{Four placed I’d like to travel}
St. Lucia 
New England Area

{For places I’d like to re-travel to}
North Carolina
Ocho Rios Jamaica
{Four favorite chain restaurants}
We don't usually eat at many chains...
Rose Pepper Cantina
Chickfila- duh.

{Four tv shows I'm currently watching}
Most shows ended this week.. So I'll start with my summer list
Bachelorette-- we shall see how this season goes.
SYTYCD- not a fan of this new format- but I am giving it a chance
Master Chef
Literally drawing a blank right now......
{Four things I’m looking forward to this year}
My baby shower
Summer, Summer, and Summer
Baby boy making his grand debut
Soaking up all the time with friends I can get!!

Tuesday, May 19, 2015

28 Weeks

• The article is interrupted by data records:
91
Properties=species:S:1:pos:R:3:forces:R:3 method="wB97M-V/def2-TZVPD" mol_weight_da=1035.34 lumo_energy_ha="-0.2159 / -0.2580" multiplicity=4 de_lowest_kj_mol=0.0 total_charge=+2 gap_ev="6.6 / 5.7" total_energy_ev=-89963.501
C 5.075803 0.353559 -0.544013 0.3 0.0 0.2
C -1.660383 -1.895270 -3.440135 0.1 0.1 -0.1
H 2.868488 0.261946 4.676814 0.0 0.0 0.0
C -3.081003 -4.038711 -1.060666 0.0 0.1 -0.1
N -0.787722 -0.541720 -1.943493 -0.1 -0.2 0.0
H 0.595370 -6.251044 -1.987931 0.0 0.0 0.0
N 3.693364 0.485197 -1.132801 -0.3 0.0 0.1
C -0.974497 2.553215 -2.290554 0.0 -0.1 -0.1
H -3.548912 5.329241 1.701185 0.0 0.0 0.0
H -3.893377 -4.748706 -0.907585 0.0 0.0 0.0
H -1.085578 -5.525853 1.879391 0.0 -0.1 0.0
C 2.020626 -0.236335 5.141686 -0.1 0.1 -0.1
C -0.843701 5.536151 1.126478 0.0 -0.1 -0.1
H 0.390921 2.510864 5.875399 0.0 0.0 0.0
H 5.198774 -1.781278 -0.893794 0.0 0.0 0.0
H -1.885902 -2.452269 -4.328725 -0.1 0.0 0.1
C -0.312155 -6.021234 -0.060879 0.0 -0.1 -0.1
C 2.139448 0.800313 -2.667286 0.0 0.0 -0.1
H -0.441658 4.841711 1.856395 0.0 -0.1 0.1
H 7.090401 0.552501 -1.204999 0.0 0.0 0.0
H 2.122466 -1.314136 5.033735 0.0 0.0 0.0
H -3.301481 5.653207 -1.286468 0.0 0.0 0.0
H 6.273599 -1.185492 0.374673 0.0 0.1 0.0
H -2.828261 -3.600247 -0.098306 0.0 0.0 0.0
H 0.877505 -2.353451 -0.237802 0.1 0.0 0.0
H -2.210661 -4.579577 -1.438192 -0.1 0.0 0.0
C 0.379838 -5.569082 -1.176386 0.0 0.0 0.1
Te -0.370663 -2.605126 2.649883 0.1 -0.5 -0.1
C -2.470744 6.006218 -0.674219 0.0 0.0 -0.1
H -4.665158 -1.784194 -0.642871 0.0 0.0 0.1
C 5.261756 1.387023 0.570889 -0.1 -0.1 -0.1
H -0.021436 -0.025935 -0.063846 0.1 -0.1 0.2
H 6.031889 -0.067843 -2.461310 0.0 0.0 0.0
C 3.468905 0.779537 -2.462832 -0.1 0.0 -0.2
H 1.338047 -3.889840 -2.110852 0.0 0.0 0.0
S -0.665700 2.152494 1.556380 0.0 0.4 0.6
C -1.198793 -0.500759 5.594938 0.0 0.1 -0.1
H -3.953746 4.076418 0.522214 0.0 0.0 0.0
B 0.030027 0.464782 -1.170373 0.0 0.3 -0.1
N -2.384758 -2.007054 -2.266498 0.1 0.2 0.1
Sb 0.191999 0.404340 4.265884 0.2 0.1 0.9
C -0.929881 2.605693 -0.081728 -0.1 0.0 -0.5
H -0.851069 -1.501419 5.842877 0.0 0.0 0.0
H 0.102316 -0.672420 -3.906911 0.0 0.0 0.0
H -2.871225 3.713337 1.873969 0.0 0.0 0.0
C -3.156793 4.473631 1.152559 0.1 0.0 -0.1
H 6.003113 1.660877 -2.026074 0.0 0.0 0.0
C 6.096781 0.645338 -1.638579 0.0 0.0 -0.1
H 1.972580 0.025687 6.197839 0.1 0.0 0.0
N 1.524628 0.512658 -1.466150 0.1 -0.1 0.3
H -0.663669 -7.043628 -0.019013 0.0 0.0 0.0
C -0.110102 -3.852131 0.947659 0.2 0.3 0.1
H -5.608002 -2.930500 -1.588643 0.0 0.0 0.0
C 0.121657 2.460035 4.821082 0.0 -0.2 0.0
C -1.977064 4.933437 0.291838 -0.2 0.2 0.2
S -2.330525 -0.940450 0.280465 0.1 0.2 0.8
H -4.656316 -4.323490 -3.271899 0.0 0.0 0.0
H -1.235198 0.109546 6.496049 0.0 0.0 0.0
H 4.555738 -1.366640 0.701060 0.0 0.0 0.1
H -4.081134 -2.931994 -4.180261 0.0 0.0 0.0
C -3.518811 -2.975381 -2.071670 -0.3 -0.2 0.1
C -3.810192 -3.653002 -3.407627 0.1 0.0 0.0
H -2.830512 6.849908 -0.089106 0.0 0.0 0.0

How Far Along: 28 weeks.... Hellooooooo Third trimester!! I cannot believe my due date is literally around the corner! 

Size of Baby: the size of an eggplant... 2-2.5 pounds, 13.5-15 inches! What!? 

Gender: Sweet baby BOY!

Fun fact: his lungs are getting stronger, I like to think he's preparing for long runs with momma! 

Movement: this boy loves to move. 

Sleep: sleep?? What is that? Just kidding. God is definitely preparing me in a glimpse of what life will be like. I stay up a little later, and I get up twice through the night. Usually at midnight and 3:30. I'm sleeping in 2-3 hour increments. Normally, I'd be dragging, but I'm surprisingly adjusting. 

Workouts: I've slacked this week.. But ready for a good walk with Lila today! 

Maternity Clothes: Same... mixin and matchin! 

Symptoms: Back pain, but he massage I had Saturday did wonders for me physically and emotionally. Heartburn around 3 everyday. Morgan said this is a sign of a head full of hair, haha! 

Cravings/Aversions: fruit! 

Missing Most: Nothing really!

Nursery: ordering the mattress this week, hopefully

Hubby: loves to look over and see him moving... He thinks it's so funny! 

Best part of the Week: seeing Pitch Perfect 2 with the girls... That movie is hilarious. Jayme got to feel baby boy moving which was super neat! 

Can't Wait For: everyone to get my shower invite this week! Jordyn did such a great job on them... They are precious!!!! 

Friday, May 15, 2015

Friday Five

This week has been such a slow one! Here are a few things I am loving/looking forward to! Also, please tell me you've seen the updates of the Bad Blood music video?! My close friends have all text me about it. My love for TSwift has always been known. And my love for Ellen and Mariska are well known as well. Soooooo you could say I'm 100% sure I already love this video.

Series Finale of Revenge [Semi-spoiler alert]
I am usually very apprehensive about finales. I still haven't watched the awful Grey's episode from 4 weeks ago. However, I was excited about this one. I hoped it would end in a way that brought the show full circle. And it did. Kudos, Revenge Writers, kudos.


Prenatal Massage
Holla. This week has been so brutal on my hips and lower back. Tears occured last night. So, after putting it off all week... I went to our chiropractor who works wonders. He adjusted my hips for me and recommended I get a massage. Oh, and to not sit for more than an hour total all day. LOL. Yes, this was my birthday present that I still haven't redeemed. I have an appointment three weeks away. Insert saddest emoji you can find. So, I may be trying to find someone that can get me in sooner. This soon to be mama needs some relief. 

Pitch Perfect
Girls night [plus Pat probably] this weekend. I cannot wait. Not only am I looking forward to the movie and laughing hysterically, but I am excited to spend time with the girls! 

Yesterday I took off half a day of work to be home for the dresser delivery. Estimated arrival time: 11-3. Lol. It didn't arrive until 5:45. Needless to say, the nursery is almost complete! We just need to pick out a matress. Which is hard work y'all-- any recommendations?! Pictures to come after my shower!
I love this quote. 

Positive Changes Your Life | You are here: Home › Quotes › Every positive change in your life ...

Wednesday, May 13, 2015

27 Weeks

How Far Along: 27 Weeks, I skipped 26 weeks because we were on Vacation. Basically-- baby boy LOVES the beach, as do I . Lots of movement, and lots of relaxation.

Size of Baby: A cauliflower 14 in, and about 2 pounds! Grow Baby, grow!

Gender: Sweet baby BOY!

Fun fact: baby is practicing breathing!

Movement: I feel him more and more every day. I am thinking I will have a 3 am baby on our hands!

Sleep: Sleep is treasured. Quite possibly my favorite part of the day is getting in bed. Ha!

Workouts: While in Florida I rocked the elliptical every day. Since being back, I am doing walks around the 'hood with Lila, and some weight exercise.

== Between two parts of the article: molecular data ==
........
ORCA calculation (ωB97M-V/def2-TZVPD) on a cluster of 14 separate species, C23H66FN27O16S in total at a distorted geometry.

The geometry in XYZ format:
```
134
Properties=species:S:1:pos:R:3:forces:R:3:mulliken_charge:R:1
C -1.111 0.953 -2.762 0.6 -0.6 1.2 -0.79
C -0.193 2.270 -3.110 -1.8 -0.4 -1.3 0.90
C -1.230 3.361 -3.838 -0.1 0.1 1.6 -1.21
N -0.693 3.922 -5.136 -0.8 -1.4 -0.9 -0.27
S -0.593 2.727 -6.406 4.9 -4.9 -0.6 1.06
O -1.205 1.344 -6.044 1.2 6.1 -1.1 -0.47
O 0.915 2.596 -6.855 -6.3 1.4 1.4 -0.56
F -1.431 3.242 -7.852 1.2 -0.4 3.1 -0.30
O 0.361 2.969 -1.941 0.6 -2.2 -0.9 -0.43
C 1.326 2.146 -1.197 1.7 -0.1 1.1 -0.06
C 2.781 1.947 -1.929 3.5 -1.0 -1.7 0.44
C 3.572 0.501 -1.662 2.4 2.4 -2.3 -0.20
C 5.079 0.210 -2.321 -1.6 3.8 -0.7 -0.49
C 5.816 1.374 -3.257 -4.1 1.1 1.6 -0.39
C 5.004 2.799 -3.519 -1.8 -2.4 2.3 -0.42
C 3.502 3.091 -2.859 1.7 -4.0 1.1 -0.33
H -2.083 0.843 -3.407 1.9 0.6 1.2 0.44
H -1.365 1.027 -1.599 0.3 -0.2 -2.5 0.16
H -0.497 -0.044 -2.906 -1.1 2.2 0.4 -0.14
H 0.612 1.922 -3.901 -1.2 1.0 1.7 0.24
H -1.367 4.277 -3.085 0.4 -1.9 -1.8 0.35
H -2.300 2.924 -4.020 2.3 0.7 0.2 0.34
H 0.187 4.469 -5.013 -0.7 -1.0 -0.7 0.37
H 0.938 1.090 -0.874 0.5 2.1 -1.0 0.08
H 1.547 2.734 -0.182 -0.7 -1.2 -2.3 0.27
H 3.129 -0.369 -0.997 0.7 2.2 -1.6 0.17
H 5.672 -0.806 -2.118 -1.6 2.5 -0.5 0.23
H 6.895 1.234 -3.740 -2.7 0.2 1.2 0.25
H 5.457 3.686 -4.148 -0.9 -2.1 1.4 0.27
H 2.924 4.097 -3.019 1.5 -2.1 0.2 0.36
C 0.253 -2.539 -1.674 -0.4 0.6 -0.9 0.56
O 0.761 -1.433 -1.770 0.4 0.2 0.3 -0.61
N 0.590 -3.413 -0.709 0.9 -0.8 1.3 -0.30
N -0.690 -2.983 -2.525 -0.4 0.3 -0.6 -0.28
H 0.183 -4.328 -0.613 -0.2 0.3 0.0 0.11
H 1.296 -3.119 -0.047 -0.3 0.0 0.1 0.11
H -0.972 -2.356 -3.267 0.1 -0.3 0.3 0.22
H -1.120 -3.890 -2.462 -0.1 0.0 -0.1 0.27
C -1.505 1.993 1.464 0.1 0.2 -0.1 0.40
O -0.611 1.582 0.741 0.2 -0.3 0.1 -0.46
N -1.659 3.297 1.760 0.2 1.3 -0.1 -0.22
N -2.415 1.181 2.029 -0.8 -1.1 0.0 -0.15
H -2.388 3.655 2.353 0.1 0.1 0.1 0.11
H -0.994 3.943 1.354 -0.3 -0.3 0.1 0.17
H -2.335 0.192 1.832 0.0 0.2 0.3 0.15
H -3.158 1.501 2.627 0.2 0.0 0.2 0.10
C -0.473 -1.566 4.063 -0.3 0.0 -0.4 0.73
O -1.659 -1.325 3.908 -0.3 0.1 0.0 -0.67
N 0.493 -0.957 3.351 0.5 0.9 -0.7 -0.21
N -0.024 -2.462 4.961 0.0 -1.1 1.1 -0.44
H 1.475 -1.142 3.465 -0.1 0.0 -0.1 0.11
H 0.198 -0.275 2.664 0.2 -0.2 -0.1 0.02
H -0.718 -2.943 5.518 0.3 0.2 -0.2 0.24
H 0.949 -2.674 5.103 -0.1 0.1 -0.1 0.16
C 3.692 -4.632 0.941 0.1 -0.1 -0.2 0.67
O 3.069 -3.879 1.673 -0.5 0.3 0.4 -0.65
N 3.161 -5.167 -0.173 -0.8 -0.3 -0.8 -0.25
N 4.965 -4.993 1.183 1.2 0.0 0.7 -0.42
H 3.658 -5.789 -0.788 -0.1 0.1 0.2 0.17
H 2.205 -4.921 -0.392 0.5 -0.1 -0.1 0.20
H 5.402 -4.612 2.012 -0.1 -0.2 -0.3 0.24
H 5.494 -5.612 0.592 -0.2 0.1 0.1 0.15
C -0.303 2.187 -11.968 0.7 -0.3 -0.3 0.63
O 0.546 1.956 -12.814 0.0 0.0 -0.1 -0.66
N -1.473 2.787 -12.256 -1.3 0.7 -0.8 -0.37
N -0.146 1.863 -10.672 0.5 -0.5 1.1 -0.29
H -2.184 2.985 -11.574 0.2 0.0 -0.1 0.17
H -1.631 3.047 -13.221 0.1 -0.1 0.4 0.21
........

Maternity Clothes: Same... mixin and matchin! Lol. I am getting to the point where my tops no longer fit my growing belly.

Symptoms: The back pain is real, but I am pushing through it!

Cravings/Aversions: Same

Missing Most: Nothing really!

Nursery: The crib is up, our glider is in!! It came in while we were gone and it looks perfect in the room!

Hubby: is getting really excited!! He loved watching him move and groove while on the beach!

Best part of the Week: Last night Jo sent me a preview of my baby shower invitation, and I cried. I may be bias, but it's the cutest thing ever.

Can't Wait For: The weekend! Lol And next week... Officially THIRD  trimester!!! Some apps say 27 weeks, some say 28... You  think those would be kind of concrete rules, but oh well!!

Friday, May 8, 2015

A Letter To Mom


Over the past 25 years, we've been a lot of things to each other. We have travelled together, cooked together, shopped til we dropped together. It was you that I heard running through the ER yelling my name while I was semi-conscious. It was you that stayed by side in The hospital for 4 days after having major vascular surgery. It was you who always changed my band aids. It was you who consoled my first broken heart. It was you that told me that "dumb ole boy would regret it" one day. You told me to be wary of those friends, and I didn't listen. You told me to be home by 9, I came home at 11. You were waiting on the couch, in the dark. Terrifying touch, I might add. You loved me through middle school/high school. How you did it, I'm still clueless. You helped move me into my first dorm, out of my dorm, back into a dorm, and so on for 5 years. You didn't judge me when I changed my major just shy of two semesters graduating. You welcomed Pat into the family with open arms. You celebrated ever high and held me in every low. 

I have your eyes, your laugh, your sass. I have your emotional side and your love for all things 80s. I have your love for animals and love for cooking. You are my pillar. You are my guiding light. When nothing in this world makes sense, I know one thing remains: God has given me a mother whose love knows no bounds for me. For that, I'm forever grateful. I hope and pray that I am half the mom to baby Boy that you were and are to me. Life has changed a lot in the past two years. We have been through it, that's for sure. And from the looks of the news we got this week, we are just getting started. But not once did I ever doubt your strength and perseverance. I love you, Momma. More than words on a blog could ever portray. 


Friday, May 1, 2015

25 Weeks

How Far Along: 25 Weeks-- 14 weeks to go. What?!

Size of Baby: A Rutabaga.... Lol. 13-14 in, and about 1.5 pounds! No wonder I'm feeling a little larger than normal, ha! 

Gender: Sweet baby BOY!

Fun fact: glucose test was this morning. Fingers crossed! It wasn't near as bad as people make it out to be. There are far more unpleasant things that come along with pregnancy than that drink! Lol 

Movement: love feeling him kick and jab! Pat really got to feel him last night since the movements are so much stronger. Grow baby, grow!

Sleep: Sleep is going well, I bought a pregnancy pillow. 

Workouts: Same, getting the miles in with walks and toning exercises. I'm looking forward to staying at the condo this following week... The gym is just downstairs instead of 15 minutes away. 

Maternity Clothes: Same- living in maxis right now. I did go searching for bathing suits, I ended up just getting a bigger size at Target instead of maternity. I hate it clinging to my skin! 

Symptoms: a little heartburn and back pain, but all is well! 

Cravings/Aversions: Same

Missing Most: Nothing really!

Nursery: Pat put the crib together on my birthday last weekend. Eeeeekkk!

Hubby: currently driving us to Destin as I type, so we can't complain :)

Best part of the Week: We are almost halfway to Destin! Woohoo!!

Can't Wait For: Being in Destin!!!!!!! Nine days yall.